== Work order ==
It remains to repeat the whole of the rows underneath without altering anything.

== Listing ==
1.
DFT (ωB97M-V/def2-TZVPD) results for a molecular structure, C27H25AuF6N4PS3SeSi.

Each line ends with the Mulliken charge.
Atoms and positions in Å:
1 Au 0.08691 -0.15424 0.02781  1.220
2 S -4.59305 2.02464 2.92914  -0.158
3 C -5.79962 3.04194 3.57670  -0.385
4 C -5.43269 4.35263 3.53640  -0.628
5 C -4.15134 4.53811 2.96641  -0.505
6 C -3.56177 3.36350 2.58138  0.439
7 C -2.25078 3.18272 1.96538  0.576
8 C -1.89073 1.94411 1.40414  -0.189
9 N -0.72341 1.73308 0.83314  -0.164
10 C 0.20336 2.71354 0.77438  0.063
11 C -0.06505 3.98622 1.29292  0.737
12 C 0.95052 4.99802 1.19615  -1.109
13 C 2.14057 4.73161 0.62001  -1.127
14 C 2.43862 3.42700 0.09323  0.603
15 C 3.66385 3.10004 -0.50144  -0.469
16 C 3.90290 1.82722 -0.98582  0.439
17 C 2.86272 0.87877 -0.84700  0.133
18 N 1.70799 1.17319 -0.28060  -0.593
19 C 1.46984 2.42830 0.18211  -0.006
20 C 5.15834 1.44412 -1.61816  0.329
21 C 5.54143 0.19951 -2.05428  -0.331
22 C 6.83765 0.19327 -2.61583  -0.688
23 C 7.41832 1.42709 -2.59791  -0.355
24 S 6.40019 2.60437 -1.90861  -0.180
25 C -1.31112 4.19791 1.89385  -0.445
26 H -6.71389 2.61840 3.95835  0.448
27 H -6.05506 5.15648 3.89784  0.409
28 H -3.70044 5.51115 2.83861  0.360
29 H -2.58467 1.11291 1.41736  0.075
30 H 0.73928 5.98072 1.59588  0.470
31 H 2.89981 5.49891 0.54725  0.471
32 H 4.42721 3.86518 -0.57432  0.507
33 H 2.98309 -0.13049 -1.20779  0.007
34 H 4.93275 -0.68786 -1.97627  0.539
35 H 7.31923 -0.68655 -3.01341  0.424
36 H 8.39447 1.70704 -2.95871  0.469
37 H -1.52702 5.17010 2.31720  0.458
38 S 0.31252 -1.35880 2.67122  -0.314
39 C -0.23854 -2.79727 2.13622  -0.011
40 N 0.33041 -3.98674 2.56065  0.069
41 C -0.11044 -5.20493 2.26822  -0.143
42 C -1.23503 -5.35311 1.48422  -1.007
43 C -1.77087 -4.19905 0.96189  0.292
44 N -1.27572 -2.98869 1.23769  0.046
45 H 1.16310 -3.86956 3.12980  0.307
46 H 0.45237 -6.03549 2.67305  0.460
47 H -1.64324 -6.32194 1.24802  0.475
48 H -2.61862 -4.22632 0.29092  0.424
49 C -2.40624 -0.64661 -2.81281  -1.026
50 Si -2.66938 -2.30282 -2.03305  0.166
51 C -4.43000 -2.75056 -1.66906  -1.053
52 C -1.60028 -3.66514 -2.65255  -0.673
53 Se -1.98230 -1.50945 0.25989  0.041
54 H -2.79745 -0.69021 -3.83391  0.429
55 H -1.34265 -0.41160 -2.87752  0.251
56 H -2.93446 0.16191 -2.30377  0.380
57 H -4.96892 -2.88854 -2.61043  0.387
58 H -4.94432 -1.96865 -1.10935  0.370
59 H -4.51446 -3.68868 -1.11757  0.384
60 H -2.00778 -3.97562 -3.62044  0.495
61 H -1.58648 -4.55029 -2.01724  0.307
62 H -0.57556 -3.33366 -2.80668  0.091
63 F 0.97690 -1.62801 -1.84184  -0.492
64 P 1.93912 -2.88422 -1.27458  1.120
65 F 1.61635 -3.70452 -2.59036  -0.385
66 F 0.58625 -3.49606 -0.56491  -0.177
67 F 2.80337 -4.04617 -0.63517  -0.400
68 F 2.14851 -1.96716 0.08180  -0.414
69 F 3.20544 -2.18472 -1.93785  -0.241

Results
highest occupied orbital energy (alpha / beta) = -12.521 / -12.519 eV
E = -6224.38546 Ha
net charge = +2
2S+1 = 2
energy above the lowest of the compared OMol25 structures with the same formula, charge and spin = 138.83 kJ/mol
gap between HOMO and LUMO (alpha / beta) = 5.60 / 4.81 eV
M = 950.70 u
F_max = 0.49 eV/A



2.
DFT (ωB97M-V/def2-TZVPD) results for a molecular structure, C2H4KO.

Each line ends with the Mulliken charge.
Atoms and positions in Å:
1 O -0.24278 0.89554 0.28027  -0.503
2 C -0.20384 0.14444 -0.67446  0.151
3 C 0.30102 -1.27254 -0.59030  -0.726
4 H -0.55349 0.49654 -1.67519  0.308
5 H -0.30815 -1.83656 0.13591  0.246
6 H 1.34809 -1.26896 -0.24353  0.246
7 H 0.25470 -1.78838 -1.56414  0.280
8 K -0.59556 4.62994 4.33147  0.999

Results
highest occupied orbital energy = -12.226 eV
E = -753.55862 Ha
net charge = +1
2S+1 = 1
energy above the lowest of the compared OMol25 structures with the same formula, charge and spin = 0.00 kJ/mol
gap between HOMO and LUMO = 7.70 eV
M = 83.15 u
F_max = 0.72 eV/A



3.
DFT (ωB97M-V/def2-TZVPD) results for 12 unconnected molecules or ions with the total composition C4H30NO15.

Each line ends with the Mulliken charge.
Atoms and positions in Å:

== Here it is ==
1.
DFT (ωB97M-V/def2-TZVPD) results for a molecular structure, C27H25AuF6N4PS3SeSi.

Each line ends with the Mulliken charge.
Atoms and positions in Å:
1 Au 0.08691 -0.15424 0.02781  1.220
2 S -4.59305 2.02464 2.92914  -0.158
3 C -5.79962 3.04194 3.57670  -0.385
4 C -5.43269 4.35263 3.53640  -0.628
5 C -4.15134 4.53811 2.96641  -0.505
6 C -3.56177 3.36350 2.58138  0.439
7 C -2.25078 3.18272 1.96538  0.576
8 C -1.89073 1.94411 1.40414  -0.189
9 N -0.72341 1.73308 0.83314  -0.164
10 C 0.20336 2.71354 0.77438  0.063
11 C -0.06505 3.98622 1.29292  0.737
12 C 0.95052 4.99802 1.19615  -1.109
13 C 2.14057 4.73161 0.62001  -1.127
14 C 2.43862 3.42700 0.09323  0.603
15 C 3.66385 3.10004 -0.50144  -0.469
16 C 3.90290 1.82722 -0.98582  0.439
17 C 2.86272 0.87877 -0.84700  0.133
18 N 1.70799 1.17319 -0.28060  -0.593
19 C 1.46984 2.42830 0.18211  -0.006
20 C 5.15834 1.44412 -1.61816  0.329
21 C 5.54143 0.19951 -2.05428  -0.331
22 C 6.83765 0.19327 -2.61583  -0.688
23 C 7.41832 1.42709 -2.59791  -0.355
24 S 6.40019 2.60437 -1.90861  -0.180
25 C -1.31112 4.19791 1.89385  -0.445
26 H -6.71389 2.61840 3.95835  0.448
27 H -6.05506 5.15648 3.89784  0.409
28 H -3.70044 5.51115 2.83861  0.360
29 H -2.58467 1.11291 1.41736  0.075
30 H 0.73928 5.98072 1.59588  0.470
31 H 2.89981 5.49891 0.54725  0.471
32 H 4.42721 3.86518 -0.57432  0.507
33 H 2.98309 -0.13049 -1.20779  0.007
34 H 4.93275 -0.68786 -1.97627  0.539
35 H 7.31923 -0.68655 -3.01341  0.424
36 H 8.39447 1.70704 -2.95871  0.469
37 H -1.52702 5.17010 2.31720  0.458
38 S 0.31252 -1.35880 2.67122  -0.314
39 C -0.23854 -2.79727 2.13622  -0.011
40 N 0.33041 -3.98674 2.56065  0.069
41 C -0.11044 -5.20493 2.26822  -0.143
42 C -1.23503 -5.35311 1.48422  -1.007
43 C -1.77087 -4.19905 0.96189  0.292
44 N -1.27572 -2.98869 1.23769  0.046
45 H 1.16310 -3.86956 3.12980  0.307
46 H 0.45237 -6.03549 2.67305  0.460
47 H -1.64324 -6.32194 1.24802  0.475
48 H -2.61862 -4.22632 0.29092  0.424
49 C -2.40624 -0.64661 -2.81281  -1.026
50 Si -2.66938 -2.30282 -2.03305  0.166
51 C -4.43000 -2.75056 -1.66906  -1.053
52 C -1.60028 -3.66514 -2.65255  -0.673
53 Se -1.98230 -1.50945 0.25989  0.041
54 H -2.79745 -0.69021 -3.83391  0.429
55 H -1.34265 -0.41160 -2.87752  0.251
56 H -2.93446 0.16191 -2.30377  0.380
57 H -4.96892 -2.88854 -2.61043  0.387
58 H -4.94432 -1.96865 -1.10935  0.370
59 H -4.51446 -3.68868 -1.11757  0.384
60 H -2.00778 -3.97562 -3.62044  0.495
61 H -1.58648 -4.55029 -2.01724  0.307
62 H -0.57556 -3.33366 -2.80668  0.091
63 F 0.97690 -1.62801 -1.84184  -0.492
64 P 1.93912 -2.88422 -1.27458  1.120
65 F 1.61635 -3.70452 -2.59036  -0.385
66 F 0.58625 -3.49606 -0.56491  -0.177
67 F 2.80337 -4.04617 -0.63517  -0.400
68 F 2.14851 -1.96716 0.08180  -0.414
69 F 3.20544 -2.18472 -1.93785  -0.241

Results
highest occupied orbital energy (alpha / beta) = -12.521 / -12.519 eV
E = -6224.38546 Ha
net charge = +2
2S+1 = 2
energy above the lowest of the compared OMol25 structures with the same formula, charge and spin = 138.83 kJ/mol
gap between HOMO and LUMO (alpha / beta) = 5.60 / 4.81 eV
M = 950.70 u
F_max = 0.49 eV/A



2.
DFT (ωB97M-V/def2-TZVPD) results for a molecular structure, C2H4KO.

Each line ends with the Mulliken charge.
Atoms and positions in Å:
1 O -0.24278 0.89554 0.28027  -0.503
2 C -0.20384 0.14444 -0.67446  0.151
3 C 0.30102 -1.27254 -0.59030  -0.726
4 H -0.55349 0.49654 -1.67519  0.308
5 H -0.30815 -1.83656 0.13591  0.246
6 H 1.34809 -1.26896 -0.24353  0.246
7 H 0.25470 -1.78838 -1.56414  0.280
8 K -0.59556 4.62994 4.33147  0.999

Results
highest occupied orbital energy = -12.226 eV
E = -753.55862 Ha
net charge = +1
2S+1 = 1
energy above the lowest of the compared OMol25 structures with the same formula, charge and spin = 0.00 kJ/mol
gap between HOMO and LUMO = 7.70 eV
M = 83.15 u
F_max = 0.72 eV/A



3.
DFT (ωB97M-V/def2-TZVPD) results for 12 unconnected molecules or ions with the total composition C4H30NO15.

Each line ends with the Mulliken charge.
Atoms and positions in Å: